The first case that we will argue stay is down from versus the usa. Mr. Chief justice, the subpoenas at issue here are unprecedented in every sense. No court hadcases, ever upheld the use of Congress Passed subpoena power. Had toittee of congress the records of a sitting president with a broad swath of the president s personal papers to the let alone purpose of the a potential legislation. There is a reason this is the first time a set has attempted such a gambit. Because, grist has subpoena power, it is subordinate and when that power is deployed against the president , it must yield absent any longstanding tradition or compelling showing of need. The committees consent is neither condition and that should decide this case. The committees contend the subpoenas satisfy the limits this court has always applied to congressional subpoenas. But the arguments would render those limits meaningless. But the arguments would render those limits meaningless. They claim congress can you subpoenas
Authority the da has under state law as to the president , the Second Circuit is wrong and should be reversed. If not reversed the decision weapon isis 2300 local das, overwhelming number of them elected to office and thereby accountable to local constituencies. The decision would allow any da to distract and interfere with a sitting president , subjects the president a local prejudice that can influence prosecutorial decisions and the grand jury can be utilized issue compulsory criminal process in the form of subpoenas targeting the president. This is not mere speculation. It is precisely what has taken place in this case with the subpoena we challenge. In the argument just concluded we asserted the subpoenas did not serve a legitimate legislative purpose and were burdensome. Yet the da copy almost verbatim the House Oversight Committee Subpoena with an additional 13 words which seek the president s tax returns without revealing the exact same language utilized by two congressional co
God save the United States and this honorable court. Chief Justice Roberts the first case we will argue today is case 19715, donald trump v. Mazars usa. Mr. Strawbridge . Mr. Strawbridge before these cases, mr. Chief justice and may it please the court, the subpoenas at issue here are unprecedented in every sense. Before these cases, no court had ever upheld the use of congres subpoena powers to the records of a sitting president , and no one had tried with a broad swath of the president s personal let alone purpose of a potential legislation. There is a reason this is the First Time Congress has attempted such a gambit. Because congress has subpoena power, it is subordinate, and when that power is deployed against the president , it must yield absent any longstanding tradition or particular compelling showing of need. They show neither here. Satisfied, butas thoseguments would limit meaningless. For example, as long as they could tack on a potential for broad legislation. They claim c
/*
# 1
This entry pairs a crystal structure of LiTiPCO7 with its theoretical X-ray powder pattern. Radiation: Cu Ka. Structure: a cell relaxed with GGA-PBE.
Kinematic intensities with the Lorentz-polarization factor, no thermal factor.

Top 10 peaks for 10 to 90 degrees two-theta, low angle first:
Position (°2θ)  d_spacing  I/Imax  h k l
10.31  8.579  100  0 0 1
17.40  5.097  72  0 1 1
18.26  4.858  36  1 0 -1
19.21  4.621  37  1 0 1
21.01  4.229  14  1 1 0
23.07  3.855  13  1 1 -1
23.83  3.733  33  1 1 1
25.33  3.516  33  1 0 -2
28.17  3.168  52  0 2 0
31.51  2.839  17  2 0 0

Atomic structure:
Lattice parameters (Å, degrees): 5.6861 6.3364 8.5922 90.00 93.12 90.00
Space group P2_1 (No. 4)
Asymmetric unit:
Li 0.2478 0.0000 0.3348
Ti 0.2137 0.3787 0.8380
P 0.2644 0.8804 0.9563
C 0.2622 0.3406 0.5553
O 0.0577 0.3704 0.6205
O 0.1232 0.8866 0.1058
O 0.2031 0.6838 0.8572
O 0.2039 0.0755 0.8552
O 0.2886 0.2827 0.4208
O 0.4369 0.3724 0.6640
O 0.4700 0.3797 0.9924

---

# 2
This entry pairs a crystal structure of LiTiPCO7 with its theoretical X-ray powder pattern. Radiation: Cu Ka. Structure: a cell relaxed with GGA-PBE.
Kinematic intensities with the Lorentz-polarization factor, no thermal factor.

Top 10 peaks for 10 to 90 degrees two-theta, low angle first:
Position (°2θ)  d_spacing  I/Imax  h k l
10.84  8.165  59  0 0 1
17.53  5.060  32  0 1 1
18.95  4.683  57  1 0 -1
21.50  4.134  82  1 0 1
25.60  3.480  29  1 1 1
25.84  3.447  33  1 0 -2
27.67  3.224  100  0 2 0
34.78  2.579  15  2 0 -1
41.94  2.154  13  1 1 3
57.14  1.612  12  0 4 0

Atomic structure:
Lattice parameters (Å, degrees): 5.2437 6.4477 8.2429 90.00 97.88 90.00
Space group P2_1/m (No. 11)
Asymmetric unit:
Li 0.2453 0.2500 0.0992
Ti 0.2040 0.7500 0.3157
P 0.2494 0.2500 0.4240
C 0.3137 0.7500 0.0347
O 0.0702 0.7500 0.0707
O 0.0808 0.2500 0.5622
O 0.1992 0.0610 0.3084
O 0.3754 0.7500 0.8950
O 0.4650 0.7500 0.4964
O 0.4799 0.7500 0.1702

---

# 3
This entry pairs a crystal structure of Li2TlPCO7 with its theoretical X-ray powder pattern. Radiation: Cu Ka. Structure: a cell relaxed with GGA-PBE.
Kinematic intensities with the Lorentz-polarization factor, no thermal factor.

Top 10 peaks for 10 to 90 degrees two-theta, low angle first:
Position (°2θ)  d_spacing  I/Imax  h k l
16.48  5.379  100  0 1 1
19.67  4.514  49  1 0 -1
20.51  4.330  48  1 0 1
21.96  4.048  89  1 1 0
23.81  3.737  45  0 1 2
25.83  3.449  56  1 0 -2
26.56  3.356  76  0 2 0
27.13  3.287  39  1 0 2
33.27  2.693  26  1 2 -1
37.37  2.407  28  1 2 -2

Atomic structure:
Lattice parameters (Å, degrees): 5.0801 6.7118 9.0021 90.00 92.78 90.00
Space group P2_1/m (No. 11)
Asymmetric unit:
Li 0.2062 0.0043 0.2971
Tl 0.2469 0.2500 0.8658
P 0.2639 0.7500 0.9099
C 0.2599 0.2500 0.5599
O 0.0290 0.2500 0.6179
O 0.1441 0.5678 0.8263
O 0.2016 0.7500 0.0777
O 0.2909 0.2500 0.4201
O 0.4266 0.2500 0.0949
O 0.4702 0.2500 0.6547

---

# 4
*/
To President Trumps financial records. This is an hour and a half. The honorable, the chief justice and the associate justices of the Supreme Court of the United States. The Supreme Court of the United States give their attention, god save the United States and this honorable court. The first case we will argue today is case 19715, donald trump versus masers usa. Mr. Strawbridge. May appease the court, the subpoenas here are unprecedented in every tenth before these cases no court upheld the use of congress subpoena power to demand the personal records of a sitting president , no kitty to committee had tried to tell of the personal papers, let alone to the purpose of considering potential legislation. There is a reason this is the first time a Congressional Committee has attested a gambit. It is long been understood since congress and subpoena power is applied, it is auxiliary ends subordinates, when that power is deployed against the president , and must yield any longstanding traditi
Here the piece breaks off for records of crystals.
........
1.
Computed XRD peak list
Compound: U2Ni5P3
Radiation: copper Kα
Structure: a cell relaxed with PBE

Crystal structure
Cell lengths 3.875, 21.723, 6.723 Å; angles 90.00, 90.00, 90.00 degrees
Space group Cmc2_1 (No. 36)
One atom of each set of equivalent atoms:
1 U 0.000 0.003 0.000
2 U 0.000 0.338 0.516
3 Ni 0.000 0.113 0.723
4 Ni 0.000 0.206 0.377
5 Ni 0.000 0.226 0.760
6 Ni 0.000 0.367 0.993
7 Ni 0.000 0.452 0.739
8 P 0.000 0.108 0.279
9 P 0.000 0.264 0.072
10 P 0.000 0.439 0.251

Largest 12 diffraction maxima, low angle first, 2θ from 10° to 90°:
24.59 deg, I = 18, hkl 0 6 0
26.08 deg, I = 35, hkl 1 3 0
26.87 deg, I = 17, hkl 1 1 1
33.74 deg, I = 13, hkl 1 5 1
35.65 deg, I = 16, hkl 0 8 1
36.47 deg, I = 43, hkl 0 6 2
37.54 deg, I = 100, hkl 1 3 2
41.16 deg, I = 16, hkl 1 5 2
44.21 deg, I = 36, hkl 1 9 0
46.89 deg, I = 25, hkl 2 0 0
54.63 deg, I = 13, hkl 0 0 4
60.81 deg, I = 24, hkl 2 6 2

---

2.
Computed XRD peak list
Compound: Pr5C2Cl9
Radiation: copper Kα
Structure: a cell relaxed with PBE

Crystal structure
Cell lengths 8.588, 8.694, 12.299 Å; angles 83.86, 85.06, 61.18 degrees
Space group P-1 (No. 2)
One atom of each set of equivalent atoms:
1 Pr 0.103 0.201 0.499
2 Pr 0.136 0.768 0.766
3 Pr 0.199 0.190 0.001
4 Pr 0.223 0.432 0.243
5 Pr 0.393 0.907 0.277
6 C 0.139 0.201 0.309
7 C 0.165 0.194 0.191
8 Cl 0.000 0.000 0.000
9 Cl 0.076 0.846 0.275
10 Cl 0.165 0.364 0.764
11 Cl 0.181 0.548 0.008
12 Cl 0.216 0.461 0.474
13 Cl 0.216 0.828 0.534
14 Cl 0.409 0.896 0.776
15 Cl 0.456 0.834 0.053
16 Cl 0.493 0.479 0.732
17 Cl 0.500 0.000 0.500

Largest 12 diffraction maxima, low angle first, 2θ from 10° to 90°:
11.77 deg, I = 24, hkl 1 0 0
11.97 deg, I = 22, hkl 1 1 0
13.27 deg, I = 23, hkl 1 1 1
21.39 deg, I = 21, hkl 2 1 1
22.58 deg, I = 30, hkl 1 2 -1
24.34 deg, I = 22, hkl 2 1 2
25.21 deg, I = 30, hkl 1 -1 2
26.50 deg, I = 23, hkl 1 2 -2
29.23 deg, I = 100, hkl 0 0 4
31.80 deg, I = 22, hkl 3 1 0
33.54 deg, I = 31, hkl 2 3 2
36.66 deg, I = 32, hkl 2 3 -2

---

3.
Computed XRD peak list
Compound: BiIrPbO6
Radiation: copper Kα
Structure: a cell relaxed with PBE

Crystal structure
Cell lengths 5.034, 5.034, 10.232 Å; angles 90.00, 90.00, 90.00 degrees
Space group P4_2nm (No. 102)
One atom of each set of equivalent atoms:
1 Bi 0.000 0.000 0.000
2 Ir 0.000 0.000 0.666
3 Pb 0.000 0.000 0.334
4 O 0.180 0.180 0.520
5 O 0.180 0.180 0.816
6 O 0.226 0.226 0.166

Largest 12 diffraction maxima, low angle first, 2θ from 10° to 90°:
25.02 deg, I = 100, hkl 1 1 0
31.69 deg, I = 95, hkl 1 0 3
35.67 deg, I = 30, hkl 2 0 0
48.45 deg, I = 71, hkl 2 1 3
51.33 deg, I = 17, hkl 2 2 0
57.93 deg, I = 18, hkl 3 1 0
60.17 deg, I = 18, hkl 1 1 6
61.60 deg, I = 20, hkl 3 0 3
66.19 deg, I = 11, hkl 2 0 6
73.26 deg, I = 18, hkl 3 2 3
82.98 deg, I = 14, hkl 3 1 6
84.23 deg, I = 14, hkl 4 1 3

---

4.
Computed XRD peak list
Compound: Rb2Li2HfSe4
Radiation: copper Kα
Structure: a cell relaxed with PBE

Crystal structure
........
Mr. Espaillat i rise in support of this bill, one month ago george floyd was murdered. As i said in the days following, his daughter said daddy changed the world. And there is a manifest to, the harlem advocates for a ban on chokeholds and ends qualified immunity. The harlem manifesto includes a provision that Police Officers can be held accountable for excessive force. The standard should not be willful intent but reckness intent. We must pass this bill. The best anticrime policies are antipoverty policies. We must continue this fight. Black lives matter. Thank you, mr. Chair. I yield back. The speaker pro tempore the gentleman yields back the balance of his time. The gentleman from north dakota. Mr. Armstrong we reserve. The speaker pro tempore the gentlelady from california is recognized. Ms. Bass i yield one minute to the gentleman from texas, mr. Green. The speaker pro tempore the gentleman is recognized. Mr. Green thank you, mr. Speaker. Mr. Speaker. For those who are not sure as